**Request:**
Please count the lines further down that contain the word "Ga2" and give the number alone.

**Entries:**
<<<
1.
# Tb2Ga5Cu3, relaxed, DFT r²SCAN
# Total moment ... 0.00 μB per atom
# Final energy ... -15.741 eV per atom
# Formation energy from the elements ... -0.521 eV per atom
data_Tb2Ga5Cu3
_chemical_formula_sum 'Tb2 Ga5 Cu3'
_cell_length_a 4.096
_cell_length_b 4.096
_cell_length_c 10.261
_cell_angle_alpha 90.00
_cell_angle_beta 90.00
_cell_angle_gamma 90.00
_space_group_name_H-M_alt 'P -4 m 2'
_space_group_IT_number 115
_space_group_name_Hall 'P -4 -2'
loop_
_atom_site_label
_atom_site_type_symbol
_atom_site_fract_x
_atom_site_fract_y
_atom_site_fract_z
Tb1 Tb 0.000 0.500 0.242
Ga1 Ga 0.000 0.000 0.500
Ga2 Ga 0.000 0.500 0.639
Ga3 Ga 0.000 0.500 0.877
Cu1 Cu 0.000 0.000 0.000
Cu2 Cu 0.500 0.500 0.000
Cu3 Cu 0.500 0.500 0.500

---

2.
# Tm2Ga3Cu, relaxed, DFT r²SCAN
# Total moment ... 0.00 μB per atom
# Final energy ... -19.907 eV per atom
# Formation energy from the elements ... -0.671 eV per atom
data_Tm2Ga3Cu
_chemical_formula_sum 'Tm2 Ga3 Cu1'
_cell_length_a 4.3005
_cell_length_b 4.3005
_cell_length_c 7.0556
_cell_angle_alpha 90.00
_cell_angle_beta 90.00
_cell_angle_gamma 120.00
_space_group_name_H-M_alt 'P 3 m 1'
_space_group_IT_number 156
_space_group_name_Hall 'P 3 -2"'
loop_
_atom_site_label
_atom_site_type_symbol
_atom_site_fract_x
_atom_site_fract_y
_atom_site_fract_z
Tm1 Tm 0.0000 0.0000 0.0000
Tm2 Tm 0.0000 0.0000 0.4686
Ga1 Ga 0.3333 0.6667 0.2151
Ga2 Ga 0.3333 0.6667 0.7841
Ga3 Ga 0.6667 0.3333 0.6862
Cu1 Cu 0.6667 0.3333 0.2759

---

3.
# V2Ga8Cu3, relaxed, DFT r²SCAN
# Total moment ... 0.00 μB per atom
# Final energy ... -11.935 eV per atom
# Formation energy from the elements ... -0.223 eV per atom
data_V2Ga8Cu3
_chemical_formula_sum 'V16 Ga64 Cu24'
_cell_length_a 11.698
_cell_length_b 11.698
_cell_length_c 11.698
_cell_angle_alpha 90.00
_cell_angle_beta 90.00
_cell_angle_gamma 90.00
_space_group_name_H-M_alt 'I -4 3 d'
_space_group_IT_number 220
_space_group_name_Hall 'I -4bd 2c 3'
loop_
_atom_site_label
_atom_site_type_symbol
_atom_site_fract_x
_atom_site_fract_y
_atom_site_fract_z
V1 V 0.012 0.012 0.012
Ga1 Ga 0.113 0.387 0.613
Ga2 Ga 0.116 0.120 0.626
Cu1 Cu 0.000 0.250 0.755

---

4.
# Y3Ga9Cu2, relaxed, DFT r²SCAN
# Total moment ... 0.00 μB per atom
# Final energy ... -13.797 eV per atom
# Formation energy from the elements ... -0.538 eV per atom
data_Y3Ga9Cu2
_chemical_formula_sum 'Y6 Ga18 Cu4'
_cell_length_a 4.159
_cell_length_b 9.867
_cell_length_c 12.124
_cell_angle_alpha 90.00
_cell_angle_beta 90.00
_cell_angle_gamma 90.00
_space_group_name_H-M_alt 'I m m m'
_space_group_IT_number 71
_space_group_name_Hall '-I 2 2'
loop_
_atom_site_label
_atom_site_type_symbol
_atom_site_fract_x
_atom_site_fract_y
_atom_site_fract_z
Y1 Y 0.000 0.000 0.000
Y2 Y 0.000 0.000 0.319
Ga1 Ga 0.000 0.278 0.130
Ga2 Ga 0.000 0.372 0.338
Ga3 Ga 0.000 0.500 0.000
Cu1 Cu 0.000 0.220 0.500

---

5.
# Y2Ga3Cu, relaxed, DFT r²SCAN
# Total moment ... 0.00 μB per atom
# Final energy ... -14.978 eV per atom
# Formation energy from the elements ... -0.677 eV per atom
data_Y2Ga3Cu
_chemical_formula_sum 'Y2 Ga3 Cu1'
_cell_length_a 4.3337
_cell_length_b 4.3337
_cell_length_c 7.2821
_cell_angle_alpha 90.00
_cell_angle_beta 90.00
_cell_angle_gamma 120.00
_space_group_name_H-M_alt 'P 3 m 1'
_space_group_IT_number 156
_space_group_name_Hall 'P 3 -2"'
loop_
_atom_site_label
_atom_site_type_symbol
_atom_site_fract_x
_atom_site_fract_y
_atom_site_fract_z
Y1 Y 0.0000 0.0000 0.0000
Y2 Y 0.0000 0.0000 0.4695
Ga1 Ga 0.3333 0.6667 0.7788
Ga2 Ga 0.6667 0.3333 0.2515
Ga3 Ga 0.6667 0.3333 0.6893
Cu1 Cu 0.3333 0.6667 0.2003

---

6.
# YbGa3Cu, relaxed, DFT r²SCAN
# Total moment ... 0.00 μB per atom
# Final energy ... -16.818 eV per atom
# Formation energy from the elements ... -0.477 eV per atom
data_YbGa3Cu
_chemical_formula_sum 'Yb2 Ga6 Cu2'
_cell_length_a 3.997
_cell_length_b 3.997
_cell_length_c 10.648
_cell_angle_alpha 90.00
_cell_angle_beta 90.00
_cell_angle_gamma 90.00
_space_group_name_H-M_alt 'I -4 m 2'
_space_group_IT_number 119
>>>

**Written answer:**
5